The development of small innovative enterprises through harmonising economic interests
The harmonisation of economic interests is one of the essential preconditions for the development of enterprises, including small ones. As practice shows, the harmonisation of major interests of small innovative business requires not only market instruments, but also state regulation, which demands the development of a corresponding mechanism. This study sets out to develop and justify the macroeconomic mechanism of development of small innovative enterprises on the basis of harmonisation of basic...
Situational approach in the prosecution in intended bodily harm cases
This article discusses the role of forensic situation studies in examining court situations. The author's classification of typical situations arising during the trial of cases of willful grievous bodily harm is presented. The specific elements of the state charge by the prosecutor in the trial court are analyzed.
1. Волчецкая Т. С. Криминалистическая ситуалогия. Калининград, 1997.
2. Волчецкая ...
Intonological aspect of the vocal form of the language (on the example of the Russian choir)
The article studies intonation features of vocal form of the language. The melody of national opera music reveals inherent prosodic corrrelation with the language intonation units and their features. The two cognitive systems, namely music and language, function via intonological models (the ones characteristic of both music and speech) of perception. Although the vocal music melody of a national language is not fully identical to speech intonation patterns acoustically, it still includes a number...
Revisiting harm caused by illegal entrepreneurial activities
..., depending on the subjects to whom it may be caused, and the need to include the loss of profits of the affected persons in the composition of the damage from the crime under consideration is analyzed.
Berezdovets M.S.
(Unrelated to this article: quantum chemistry results)
- - -
C3H7PS2 as an isolated structure, computed with wB97M-V/def2-TZVPD.

Structure (XYZ):
```
13
Properties=species:S:1:pos:R:3:forces:R:3
H -1.466 -2.858 1.584 -0.03 -0.13 0.04
C 0.279 1.264 -0.263 -0.18 -0.11 -0.06
H -0.326 -2.641 0.233 0.03 -0.11 -0.03
H 1.958 1.106 -1.697 -0.09 0.03 -0.01
P -0.688 -0.084 -1.092 -2.17 2.44 -0.66
C -0.799 -2.164 1.086 -0.07 0.43 -0.08
H -0.046 -1.804 1.781 0.06 -0.10 0.01
H -2.055 1.014 -1.577 2.57 -2.06 0.78
H -0.294 2.031 0.252 0.13 -0.06 -0.11
H 1.959 2.640 -0.716 -0.09 0.03 0.01
S 1.694 0.641 0.692 -0.07 -0.24 0.21
C 1.612 1.619 -0.806 0.11 0.14 -0.31
S -1.828 -0.763 0.523 -0.20 -0.26 0.20
```
Positions in Å, forces in eV/Å.

Results
LUMO	0.450	eV
calculated total energy	-1256.17566	a.u.
HOMO	-8.76	eV
ΔE to the lowest compared entry with this formula, charge and spin	0.666	eV
maximum force	3.39	eV Å⁻¹
spin multiplicity	1

Atom charges from the Löwdin analysis, given in e for atoms 1 to 4: 0.02 -0.94 0.02 0.06


The following is a DFT calculation (ωB97M-V/def2-TZVPD) of a structure of composition C16H5CeF3N4O15 at a distorted geometry.

As for the LUMO energy (spin up / spin down): 0.75 / 0.74 eV. As for the spin multiplicity: 2. The net charge is -1. As for the expectation value of S²: 0.7508.

Positions of all 44 atoms, in Å:
Ce -0.14 1.39 -1.16
O 0.54 2.52 0.66
C 0.37 1.37 1.13
O -0.71 0.74 0.94
C 1.59 0.59 1.56
C 2.07 0.36 2.81
C 3.24 -0.41 2.96
C 3.89 -0.93 1.86
C 3.40 -0.72 0.59
C 2.22 0.06 0.36
O 1.74 0.29 -0.80
N 4.07 -1.35 -0.51
O 3.45 -1.57 -1.53
O 5.24 -1.65 -0.34
N 3.77 -0.66 4.26
O 4.79 -1.33 4.34
O 3.20 -0.18 5.22
H 1.56 0.73 3.69
H 4.79 -1.52 1.98
O -2.57 -0.67 -4.11
C -1.96 -0.38 -3.10
O -1.05 0.50 -2.93
C -2.29 -1.11 -1.76
C -1.25 -1.40 -0.88
C -1.56 -1.88 0.40
C -2.86 -2.13 0.79
C -3.87 -1.91 -0.14
C -3.60 -1.40 -1.40
N -5.24 -2.22 0.23
O -6.12 -1.91 -0.55
O -5.42 -2.79 1.28
N -0.47 -2.07 1.34
O -0.76 -2.29 2.49
O 0.66 -1.98 0.90
H -0.19 -1.32 -1.20
H -3.08 -2.50 1.78
H -4.40 -1.24 -2.11
F -0.32 4.82 -4.34
C -0.49 4.96 -3.01
F 0.44 5.82 -2.59
F -1.68 5.54 -2.83
C -0.37 3.59 -2.27
O 0.72 3.01 -2.37
O -1.37 3.20 -1.64


The following is a DFT calculation (ωB97M-V/def2-TZVPD) of a structure of composition C16H64B8Ca2O4 at a distorted geometry.

Its relative energy (zero: lowest compared OMol25 entry of this formula, charge and spin) is 7.778 eV. As for the LUMO energy: 6.92 eV. The net charge is -4.

Positions of all 94 atoms, in Å:
Ca -17.81 17.87 20.87
Ca -14.80 18.36 17.86
B -12.70 19.21 20.17
H -13.53 18.91 19.54
H -12.02 18.40 20.39
H -12.17 19.98 19.64
H -13.23 19.63 21.01
B -15.72 19.52 15.82
H -16.24 18.95 16.57
H -14.74 19.68 16.22
H -15.58 19.00 14.88
H -16.26 20.45 15.71
B -18.27 19.42 18.95
H -17.54 19.58 19.72
H -18.94 20.26 18.96
H -17.79 19.28 17.99
H -18.82 18.53 19.21
B -17.19 19.60 22.50
H -17.71 20.17 21.74
H -17.17 20.34 23.29
H -17.67 18.69 22.81
H -16.20 19.30 22.20
B -15.30 20.86 18.83
H -14.27 20.79 18.51
H -15.58 21.90 18.85
H -15.98 20.37 18.15
H -15.31 20.42 19.82
- - -
illegal entrepreneurship, harm, damage, income, profit, lost profit
The concept of body and the problem of demarcation in new European metaphysics: from Descartes to Kant
The origin of science and the demarcation between science and metaphysics are the main features of early modern period. This demarcation faces a particular problem with conceptualisation of body, which can be considered both as just physical body and as closely bound up with spirit. Different ways of explaining the interaction between mind and body form the complex tradition, which significantly influenced Kant’s precritical writings. Limitation of the crucial distinction between these two substances...
The concept of extreme necessity in the crime qualified by Article 199.2 of the Criminal Code of the Russian Federation
... Resolution of the Plenum of the Supreme Court of the Russian Federation No. 48 dated 26.11.2019 "On the practice of applying Legislation on Liability for Tax crimes by courts".
Tsirit O.A.
extreme necessity, concealment of funds, prevented harm, criminal liability
On countering the illegal provision of massage services by legal means
-- begin --
DFT (ωB97M-V/def2-TZVPD) results for the ion C22H29O2Si with charge +1 at a distorted geometry.

```
54
C22H29O2Si, DFT ωB97M-V/def2-TZVPD
C 0.955 2.648 -0.234
C 0.835 1.147 0.136
C 0.990 0.366 -1.141
O 0.421 0.653 -2.251
Si 0.784 -0.259 -3.779
C -0.681 0.372 -4.718
C 2.413 0.223 -4.518
C 0.702 -2.054 -3.374
O 1.864 -0.600 -1.127
C 2.731 -0.448 0.103
C 2.036 0.604 0.918
H 0.777 3.282 0.643
H 1.953 2.867 -0.663
H 0.200 2.964 -0.989
H -0.900 -0.258 -5.591
H -1.568 0.386 -4.066
H -0.483 1.396 -5.068
H 2.567 -0.394 -5.419
H 2.418 1.278 -4.822
H 3.252 0.047 -3.833
H 0.272 -2.585 -4.239
H 1.710 -2.448 -3.197
H 0.072 -2.257 -2.498
H 2.769 -1.449 0.559
H 3.713 -0.107 -0.248
H 2.714 1.425 1.190
H 1.655 0.126 1.821
C -2.506 -4.579 1.062
C -2.126 -3.134 1.104
C -2.003 -2.419 -0.087
C -1.438 -1.144 -0.088
C -0.994 -0.540 1.094
C -0.447 0.914 0.916
C -0.418 1.686 2.257
C -1.081 2.917 2.282
C -1.105 3.700 3.437
C -0.538 3.214 4.619
C 0.061 1.955 4.626
C 0.148 1.202 3.442
C -1.375 -1.166 2.310
C -1.851 -2.484 2.302
H -2.200 -5.088 1.982
H -3.587 -4.704 0.935
H -2.020 -5.095 0.226
H -2.307 -2.861 -1.035
H -1.359 -0.574 -1.015
H -1.171 1.401 0.220
H -1.547 3.270 1.360
H -1.569 4.685 3.392
H -0.529 3.859 5.501
H 0.467 1.561 5.561
H 0.640 0.225 3.486
H -1.303 -0.681 3.289
H -2.010 -3.043 3.230
```

Computed properties:
Charge: +1
E_tot, eV: -35252.9580
LUMO energy, eV: -3.2
Gap between HOMO and LUMO, eV: 8.39
2S+1: 1
Relative energy (zero: lowest compared OMol25 entry of this formula, charge and spin), kcal per mole: 0.0
Molar mass, Da: 353.56

=====

DFT (ωB97M-V/def2-TZVPD) results for a structure of composition C22H30BInN5O8S2 at a distorted geometry.

```
69
C22H30BInN5O8S2, DFT ωB97M-V/def2-TZVPD
In 0.378 0.867 1.009
C 5.542 0.769 1.319
N 4.862 -0.415 0.859
C 5.247 -1.185 -0.213
C 4.367 -2.187 -0.341
N 3.388 -2.010 0.634
C 3.696 -0.886 1.376
S 2.994 -0.373 2.790
C 2.223 -2.787 0.717
C 2.298 -4.170 0.557
C 1.123 -4.898 0.618
C -0.076 -4.233 0.825
C -0.041 -2.859 1.002
N 1.085 -2.161 0.957
H 6.583 0.531 1.543
H 5.038 1.105 2.223
H 5.493 1.546 0.556
H 6.097 -0.933 -0.818
H 4.309 -2.985 -1.056
H 3.254 -4.651 0.406
H 1.143 -5.976 0.518
H -1.015 -4.768 0.853
H -0.940 -2.278 1.184
C 2.609 3.442 -0.755
C 3.127 2.034 -1.059
O 4.131 1.882 -1.772
O 2.481 1.082 -0.506
H 2.998 4.169 -1.465
H 2.935 3.715 0.251
H 1.520 3.424 -0.761
C -5.557 -2.117 1.223
C -5.254 -0.648 0.967
C -5.981 0.224 1.994
O -3.853 -0.406 1.142
B -3.492 0.581 0.254
O -4.434 0.755 -0.734
C -5.500 -0.177 -0.511
C -6.827 0.535 -0.734
C -5.335 -1.306 -1.530
H -5.297 -2.353 2.254
H -4.977 -2.763 0.569
H -6.622 -2.300 1.072
H -5.670 -0.089 2.991
H -7.064 0.140 1.914
H -5.660 1.258 1.881
H -6.826 1.485 -0.203
H -7.659 -0.078 -0.386
H -6.955 0.739 -1.796
H -4.386 -1.822 -1.378
H -5.333 -0.873 -2.530
H -6.154 -2.022 -1.459
N 1.926 -0.992 -2.370
C 0.631 -1.191 -2.699
C 0.279 -2.065 -3.753
C -1.048 -2.310 -4.006
C -2.017 -1.663 -3.245
C -1.584 -0.802 -2.251
N -0.306 -0.581 -1.956
H 2.617 -1.137 -3.085
-- stop --
... Российской Федерации : федер. закон от 13.06.1996 г. № 63-ФЗ // Собр. законодательства РФ. 1996. № 25. Ст. 2954.
Sungurova E. D.
**Inserted here: molecular data:**
Entry from OMol25: 13 unconnected molecules or ions with the total composition C26H78O13 (ωB97M-V/def2-TZVPD).

F_max   0.0435 Eh/bohr
Energy above the lowest of the compared OMol25 structures with the same formula, charge and spin   90.7 kJ/mol
Electronic energy   -2015.32666 Ha
Multiplicity   2
Total charge   -1
Gap between HOMO and LUMO (alpha / beta)   1.21 / 9.03 eV

Geometry (Å):
C (1.863, -5.653, 1.244)
C (2.295, -4.227, 1.475)
O (1.177, -3.399, 1.435)
H (1.193, -6.060, 2.001)
H (2.746, -6.292, 1.193)
H (1.382, -5.697, 0.267)
H (2.971, -3.904, 0.683)
H (2.765, -4.122, 2.453)
H (0.778, -3.329, 2.305)
C (-0.225, -0.421, -0.041)
C (0.902, 0.361, 0.712)
O (1.002, 1.687, 0.258)
H (-0.372, -1.407, 0.399)
H (0.004, -0.646, -1.083)
H (-1.187, 0.091, -0.034)
H (1.918, -0.012, 0.578)
H (0.723, 0.399, 1.787)
H (0.157, 2.139, 0.324)
C (1.093, 5.409, -0.482)
C (0.903, 6.187, 0.871)
O (-0.261, 5.733, 1.567)
H (1.653, 4.510, -0.225)
H (1.777, 5.863, -1.199)
H (0.161, 5.259, -1.027)
H (0.675, 7.208, 0.565)
H (1.775, 6.173, 1.525)
H (-0.406, 6.416, 2.226)
C (5.511, -1.816, 1.312)
C (4.998, -0.949, 0.218)
O (5.427, 0.376, 0.472)
H (6.586, -1.923, 1.165)
H (5.125, -2.835, 1.303)
H (5.286, -1.400, 2.294)
H (3.910, -1.003, 0.172)
H (5.421, -1.297, -0.724)
H (5.446, 0.803, -0.387)
C (-4.223, -0.876, 1.555)
C (-5.248, -0.216, 2.510)
O (-4.439, 0.681, 3.212)
H (-3.432, -1.439, 2.049)
H (-3.728, -0.057, 1.034)
H (-4.724, -1.499, 0.814)
H (-5.798, -0.872, 3.184)
H (-5.972, 0.409, 1.988)
H (-4.923, 1.039, 3.961)
C (2.797, 3.247, 2.968)
C (3.983, 2.444, 2.440)
O (5.189, 3.096, 2.824)
H (1.852, 2.729, 2.804)
H (2.641, 4.145, 2.371)
H (2.826, 3.521, 4.023)
H (3.950, 2.360, 1.354)
H (3.886, 1.434, 2.837)
H (5.883, 2.480, 2.575)
C (0.296, -5.180, -2.515)
C (-0.693, -4.395, -1.735)
O (-1.956, -4.260, -2.401)
H (0.405, -4.725, -3.499)
H (-0.102, -6.192, -2.580)
H (1.247, -5.121, -1.986)
H (-0.248, -3.407, -1.608)
H (-0.876, -4.776, -0.730)
H (-2.475, -5.050, -2.232)
C (-3.868, -0.866, -2.191)
C (-4.065, 0.645, -2.075)
O (-3.198, 1.348, -2.940)
H (-4.545, -1.545, -1.672)
H (-2.873, -1.126, -1.831)
H (-4.043, -1.193, -3.216)
H (-4.052, 0.994, -1.043)
H (-5.056, 0.899, -2.453)
H (-3.152, 2.238, -2.585)
C (0.302, 1.438, -3.472)
C (1.452, 2.448, -3.144)
O (2.369, 1.750, -2.262)
H (-0.373, 1.386, -2.618)
H (0.666, 0.427, -3.659)
H (-0.325, 1.809, -4.282)
H (1.108, 3.347, -2.633)
H (1.930, 2.740, -4.078)
H (1.921, 1.545, -1.437)
C (-1.533, 2.595, 2.937)
C (-2.180, 2.817, 1.562)
O (-1.225, 3.367, 0.669)
H (-1.184, 3.571, 3.272)
H (-0.667, 1.948, 2.794)
H (-2.281, 2.129, 3.578)
H (-3.011, 3.518, 1.644)
H (-2.585, 1.887, 1.162)
H (-0.902, 4.204, 1.010)
C (2.858, -1.815, -2.482)
C (3.945, -2.857, -2.867)
O (3.354, -3.907, -3.550)
H (2.092, -1.614, -3.231)
H (3.380, -0.917, -2.149)
H (2.368, -2.184, -1.581)
H (4.446, -3.246, -1.981)
H (4.693, -2.340, -3.468)
H (3.692, -4.714, -3.155)
C (-2.373, -4.084, 2.361)
C (-2.062, -5.569, 2.073)
O (-2.964, -6.430, 2.728)
health protection, medical massage, cosmetological massage, harm to health, provision of services that do not meet safety requirements
The Evolution, or Seasonal and Interannual Variability, of the Diurnal Variation of Hydrometeorological Fields in the Southern Baltic Sea
We present the results of an analysis of field observations of the air temperature Ta, the dew point Td (relative humidity f), the sea-level atmospheric pressure P0, and the wind speed W. The data were obtained by a Mini- KRAMS-4 hydrometeorological facility installed within Russia’s exclusive economic zone in the southeastern Baltic Sea on the LUKOIL-KMN (D6) offshore ice-resistant fixed platform and at MARNET monitoring stations of the German Oceanographic Datacentre (BSH / DOD (M41)) in 2002—2016...